Strip first 2 characters and replace with another -

This seems like quite a silly basic question but it seems something I have completely passed over in my knowledge.
Basically I have a string representing a phone number (0 being the area code): 0828889988
And would like to replace the first zero with a 27 (South African dialing code) as I am pretty sure it will always be so, my SMS api requires it in international format but I want the user to enter it in local format, so should be: 27828889988
Is there a line or two of code I can call to replace that first character with the two others?
As is - I can think around a workaround solution but as I am not sure of the direct syntax will be quite a few lines long.

Dim number as String = "0828889988"
number = "27" + number.SubString(1)
return number //returns "27828889988"

-- Records of crystals, as found in the file --
No. 1
DFT (GGA-PBE) results for crystalline RbS2N4 at its relaxed geometry.

Magnetization   0.1 μB per cell
Mass density   1.77 g/cm3
Symmetry   C2/m, No. 12
Electronic total energy   -6.23 eV/atom
Formation energy (no corrections)   -0.160 eV/atom
Crystal system   monoclinic

a b c (Å): 3.622 29.513 16.487
angles (deg): 169.03 144.70 37.90
Positions (direct):
Rb1 0.000 0.000 0.000
S1 0.356 0.445 0.000
S2 0.644 0.555 0.000
N1 0.744 0.016 0.479
N2 0.256 0.984 0.521
N3 0.735 0.463 0.479
N4 0.265 0.537 0.521

No. 2
DFT (GGA-PBE) results for crystalline Dy2HoEr4Th at its relaxed geometry.

ΔE_f   0.03 eV per atom
Magnetization   0.0 μB per cell
Mass density   9.29 g/cm3
Symmetry   P2/m, No. 10
Electronic total energy   -4.90 eV/atom
Crystal system   monoclinic

a b c (Å): 5.010 4.998 11.110
angles (deg): 63.31 90.00 90.00
Positions (direct):
Dy1 0.000 0.000 0.000
Dy2 0.500 0.000 0.500
Ho1 0.500 0.500 0.000
Er1 0.000 0.751 0.749
Er2 0.000 0.249 0.251
Er3 0.500 0.748 0.252
Er4 0.500 0.252 0.748
Th1 0.000 0.500 0.500


No. 1
Compound: TbSmHoN3
Source: Alexandria
Functional: GGA-PBE
Structure: optimized geometry

Cell: 6.027 3.484 9.069 Å, 90.00 101.51 90.00°
Space group P2_1/m (No. 11)
Inequivalent atoms, fractional coordinates:
Tb 0.231 0.250 0.455 (multiplicity 2)
Sm 0.344 0.750 0.802 (multiplicity 2)
Ho 0.152 0.750 0.139 (multiplicity 2)
N 0.036 0.250 0.656 (multiplicity 2)
N 0.247 0.250 0.005 (multiplicity 2)
N 0.462 0.750 0.330 (multiplicity 2)

Output
The value obtained for the calculated volume is 15.55 Å³/atom. The formation energy (no corrections) comes out at -1.43 eV per atom. Its crystal system is monoclinic.

=====

No. 2
Compound: TmBe4Pd
Source: Alexandria
Functional: GGA-PBE
Structure: optimized geometry

Cell: 6.644 6.644 6.644 Å, 90.00 90.00 90.00°
Space group F-43m (No. 216)
Inequivalent atoms, fractional coordinates:
Tm 0.000 0.000 0.000 (multiplicity 4)
Be 0.123 0.123 0.377 (multiplicity 16)
Pd 0.250 0.250 0.750 (multiplicity 4)

Output
The value obtained for the calculated volume is 12.22 Å³/atom. The density of states at the Fermi level comes out at 12.62 states/eV per cell. The value obtained for the total energy is -25.89 eV per formula unit. Its crystal system is cubic.

=====

No. 3
Compound: ZnSi3W
Source: Alexandria
Functional: GGA-PBE
Structure: optimized geometry

Cell: 4.792 4.792 4.792 Å, 90.00 90.00 90.00°
Space group Pm-3m (No. 221)
Inequivalent atoms, fractional coordinates:
Zn 0.000 0.000 0.000 (multiplicity 1)
Si 0.000 0.500 0.500 (multiplicity 3)
W 0.500 0.500 0.500 (multiplicity 1)

Output
The value obtained for the calculated volume is 22.00 Å³/atom. The formation energy (no corrections) comes out at 0.58 eV per atom. Its energy above the lowest structure with this stoichiometry is 0.0000 eV/atom. The density of states at the Fermi level comes out at 0.00 states/eV per cell. Its crystal system is cubic.

=====

No. 4
Compound: NbCdSi3
Source: Alexandria
Functional: GGA-PBE
Structure: optimized geometry
-- Here the entry continues --


Is format ####0.000000 different to 0.000000?

I am working on some legacy code at the moment and have come across the following:
FooString = String.Format("{0:####0.000000}", FooDouble)
My question is, is the format string here, ####0.000000 any different from simply 0.000000?
I'm trying to generalize the return type of the function that sets FooDouble and so checking to make sure I don't break existing functionality hence trying to work out what the # add to it here.
I've run a couple tests in a toy program and couldn't see how the result was any different but maybe there's something I'm missing?
The "#" custom format specifier serves as a digit-placeholder symbol.
If the value that is being formatted has a digit in the position where
the "#" symbol appears in the format string, that digit is copied to
the result string. Otherwise, nothing is stored in that position in
the result string.
Note that this specifier never displays a zero that
is not a significant digit, even if zero is the only digit in the
string. It will display zero only if it is a significant digit in the
number that is being displayed.
Because you use one 0 before decimal separator 0.0 - both formats should return same result.

Using SQL - how do I match an exact number of characters?

My task is to validate existing data in an MSSQL database. I've got some SQL experience, but not enough, apparently. We have a zip code field that must be either 5 or 9 digits (US zip). What we are finding in the zip field are embedded spaces and other oddities that will be prevented in the future. I've searched enough to find the references for LIKE that leave me with this "novice approach":
ZIP NOT LIKE '[0-9][0-9][0-9][0-9][0-9]'
AND ZIP NOT LIKE '[0-9][0-9][0-9][0-9][0-9][0-9][0-9][0-9][0-9]'
Is this really what I must code? Is there nothing similar to...?
ZIP NOT LIKE '[\d]{5}' AND ZIP NOT LIKE '[\d]{9}'
I will loath validating longer fields! I suppose, ultimately, both code sequences will be equally efficient (or should be).
Thanks for your help
Unfortunately, LIKE is not regex-compatible so nothing of the sort \d. Although, combining a length function with a numeric function may provide an acceptable result:
I would however not recommend it because it ISNUMERIC will return 1 for a +, - or valid currency symbol. Especially the minus sign may be prevalent in the data set, so I'd still favor your "novice" approach.
Another approach is to use:
ZIP NOT LIKE '%[^0-9]%' OR LEN(ZIP) NOT IN(5,9)
which will find any row where zip does not contain any character that is not 0-9 (i.e only 0-9 allowed) where the length is not 5 or 9.
There are few ways you could achieve that.
You can replace [0-9] with _ like
USE LEN() so it's like
You are looking for LENGTH()
select * from table WHERE length(ZIP)=5;
select * from table WHERE length(ZIP)=9;
To test for non-numeric values you can use ISNUMERIC():

Why does casting to double using "String * 1" fail? Will CDbl(String) work on all systems?

I have an application which contains the line below to assign a parsed XML value to a variant array.
V(2) = latNode.Text * 1
This works fine on my system (Windows 7, Excel 2010) but doesn't work on some other system or systems - and I've not been able to get a response from the user who reported the problem.
I've switched out the offending line for:
V(2) = CDbl(latNode.Text)
This still works on my system, but then I had no problem in the first place. The question is on what systems does the first approach fail and why, and will the second method always work? I'm sure I've used the "String * 1" trick elsewhere before and would like to know how concerned I should be about tracking down other occurrences.
Maybe it's related to thousands separator and decimal mark. Office VBA uses cultural settings even in CDbl, in my German Excel version, it's reversed compared to English, CDbl("123.4") is parsed to 1234, CDbl("123,4") to 123.4.
Val(x) will always parse the dot as decimal mark.

Localized phone number formatting

I've looked into NSFormatter, NSNumberFormatter, and the other formatting classes, but can't find a build into solution. I need to format phone numbers depending on the country code.
For instance, for US, I get a string such as +16313938888 which I need to format to look like +1(631)393-8888. The problem is I need to do this for all formats. Netherlands, I receive a string +31641234567 which will be +31(6)41 23 45 67 (something like that).
Hardcoding for 200+ countries is too tedious and I really don't know all the format rules. Is there something in the docs I'm overlooking or does anyone know of an open source class that manages this?
See for an iOS specific solution.
Try this Google solution -
They have ports for C++, Java, Objective-C and others.
Unfortunately iOS does not have any public APIs for this. You can try to integrate libphonenumber that is a complete implementation for parsing and formatting international phone numbers. It has a C++ version so theoretically you can cross-link with it.
You definitely don't want to hard-code all of the various country formats. There are typically 3-5 formats per country. Instead, use a format database (such as a plist) and write code to format the number based on the given country code.
A good international format property list 'UIPhoneFormats.plist' can be found here:
In that list, '$' allows any character, '#' must be a number, and the '(space) ', '(', ')' and '-' are inserted between numbers. Non-numeric characters typed by the user hint to the desired format.
I've shared my phone number formatter class, inspired by Ahmed Abdelkader's work, at . It is a very small, single-class international phone number formatter that uses the plist just mentioned.
You can try this:
let phoneNumber : CNPhoneNumber
let digits = phoneNumber.performSelector("digits").takeRetainedValue() as! String
It gives you directly the string, without formatting, with the phone number. However if the number is saved with international prefix, you will have it also in the resulted string.

substring and the indexOf method

My assignment in Visual Basic 2010 is to build a order form that has two text boxes, one for the name and the other for the address.
And we're suppose to use the IndexOf method on the address.
I understand that IndexOf returns the position of a character and the number of characters.
What would be the purpose of using the IndexOf method on the address in this instance?
I don't understand what I would be searching for when the user types in it's address that's going to be numbers and string characters.
I think I understand what the IndexOf method does, somewhat, but why and what would I use it to achieve?
You'd typically use IndexOf to -
See if a string contained something
If someString.IndexOf("Avenue") > - 1 Then
'do something
End If
Get the start position of a value in a string , this could then be used to extract part of the string. e.g. someString.Substring(someString.IndexOf("#"),10) would get then next ten characters starting from where the "#" character was found in your string.
Bear in mind you'll always need to handle scenarios where IndexOf will return -1 if it does not find the string your searching for, so your code will have to handle that eventuality.
Since this is a homework question, I will answer with a question or several:
How would you normally enter a full address into a text box?
How would each part of the address be distinguishable from another?
Once you figure out how this can be done, think about IndexOf again.